(Listing)
┌──
Here is an optimized crystal structure of SrV2Pb2O7 from Alexandria. Energies are from PBE with a Hubbard U.

Output
Spin magnetization   2.0 μB/f.u.
Electronic total energy   -6.73 eV/atom
Volume   18.322 Å³/atom

Cell lengths 5.6876, 5.6876, 23.5447 Å; angles 90.00, 90.00, 120.00 degrees
Closest atoms and distances in Å follow each position.
Space group R32 (No. 155, hexagonal axes)
One atom of each set of equivalent atoms:
Sr (0.0000, 0.0000, 0.0000)  6 O 2.59
V (0.0000, 0.0000, 0.4223)  4 O 1.81-1.83
Pb (0.0000, 0.0000, 0.2134)  3 O 2.27
O (0.0000, 0.0000, 0.5000)  2 V 1.83
O (0.0178, 0.3147, 0.4008)  1 V 1.81
└──

(What to do)
What is needed: filter the notes further above: keep the lines with the word "axes".

(Reply)
Space group R32 (No. 155, hexagonal axes)